Established Series


The Slayton series consists of shallow, well drained soils that formed in colluvium and residuum weathered from tuff or breccia mixed with volcanic ash. Slayton soils are on uplands and have slopes of 1 to 40 percent. The mean annual precipitation is about 10 inches and the mean annual air temperature is about 47 degrees F.

TAXONOMIC CLASS: Loamy, mixed, superactive, mesic Lithic Xeric Haplocambids

Inserted here: calculated crystals:
Density functional theory data (PBE+U) for an optimized crystal structure of Li4CrTe2WO12.

The structure in extended XYZ format:
```
40
Lattice="7.241 -1.211 1.720 2.550 -8.533 -1.194 1.709 4.490 -5.821" Properties=species:S:1:pos:R:3 pbc="T T T"
Li 2.831 1.488 -5.643
Li 5.616 -1.365 -1.898
Li 4.576 -6.115 -1.409
Li 9.092 -4.530 -3.390
Li 8.482 -6.814 -0.189
Li 5.686 -3.952 -3.920
Li 6.373 0.955 -4.944
Li 1.867 -0.643 -2.937
Cr 3.458 -3.426 -1.644
Cr 7.999 -1.777 -3.732
Te 4.379 -1.212 -4.556
Te 7.157 -4.075 -0.784
Te 8.053 1.066 -1.265
Te 3.595 -0.594 0.840
W 4.465 1.611 -2.073
W 7.241 -1.238 1.695
O 6.219 -0.854 -4.083
O 1.742 -2.457 -2.015
O 4.895 -2.449 -6.030
O 7.727 -5.358 -2.190
O 0.951 0.545 -1.504
O 5.407 2.331 -3.635
O 4.430 0.354 -5.672
O 7.190 -2.548 -1.959
O 5.488 -5.880 -3.592
O 8.123 -8.798 0.045
O 3.002 -5.106 -2.478
O 7.481 -3.574 -4.632
O 8.643 -0.272 -2.676
O 4.159 -1.806 -0.497
O 6.021 0.626 -1.506
O 3.367 3.510 -5.179
O 7.231 -5.522 0.493
O 4.450 -2.622 -3.227
O 10.616 -5.810 -3.651
O 6.110 -7.562 -1.556
O 6.648 -2.852 0.832
O 3.829 0.062 -3.020
O 5.270 -4.319 -1.029
O 9.748 -2.731 -3.135
```

VASP energy: -0.44128 Ry per atom
energy above the most stable polymorph in this dataset: 22 meV per atom
calculated density: 5.5 g/cm³
energy relative to the elements: -1.943 eV/atom


Density functional theory data (PBE+U) for an optimized crystal structure of Rb2Cr2As2O9.

The structure in extended XYZ format:
```
60
Lattice="5.797 0.000 0.000 0.000 8.728 0.000 0.000 0.000 18.772" Properties=species:S:1:pos:R:3 pbc="T T T"
Rb 4.348 4.024 14.419
Rb 1.449 4.704 4.352
Rb 1.449 0.340 5.033
Rb 4.348 3.439 6.788
Rb 1.449 0.925 16.173
Rb 4.348 7.802 2.598
Rb 1.449 5.289 11.984
Rb 4.348 8.387 13.738
Cr 0.000 4.364 0.000
Cr 4.348 6.785 17.667
Cr 1.449 1.942 1.104
Cr 1.449 6.306 8.282
Cr 2.898 4.364 0.000
Cr 4.348 2.422 10.490
Cr 0.000 0.000 9.386
Cr 2.898 0.000 9.386
As 4.348 1.535 17.766
As 1.449 2.829 8.380
As 1.449 5.939 16.142
As 1.449 7.193 1.005
As 4.348 2.788 2.629
As 4.348 5.898 10.391
As 4.348 7.152 6.757
As 1.449 1.575 12.015
O 2.943 1.772 2.470
O 1.449 8.266 8.147
O 1.449 4.674 17.393
O 4.348 4.826 17.533
O 1.449 0.310 10.764
O 1.449 0.760 13.482
O 4.348 4.313 9.799
O 1.449 5.123 14.675
O 1.449 3.902 1.239
O 1.449 2.714 6.698
O 2.854 2.591 11.856
O 0.018 2.005 9.012
O 1.449 0.051 0.414
O 5.752 1.772 2.470
O 1.449 7.078 2.688
O 4.348 8.417 8.008
O 0.045 6.955 16.301
O 0.018 6.369 0.374
O 5.778 6.722 9.759
O 4.348 6.014 12.073
O 4.348 8.677 18.358
O 2.854 6.955 16.301
O 0.045 2.591 11.856
O 5.752 6.136 6.915
O 2.917 6.722 9.759
O 4.348 0.462 10.625
O 1.449 4.414 8.972
O 5.778 2.359 18.398
O 4.348 3.604 4.097
O 2.880 2.005 9.012
O 2.880 6.369 0.374
O 2.943 6.136 6.915
O 4.348 7.968 5.289
O 2.917 2.359 18.398
O 4.348 4.054 1.378
O 4.348 1.650 16.084
```

VASP energy: -0.47258 Ry per atom
calculated density: 4.0 g/cm³
energy relative to the elements: -2.101 eV/atom
The page goes on:

TYPICAL PEDON: Slayton channery ashy sandy loam, rangeland. (Colors are for dry soil unless otherwise noted.)

Calculated crystals, kept here for reference.
+++
# Al2PbSe4

An optimized crystal structure of Al2PbSe4 (PBE-GGA, Materials Project).

offset from the most stable computed form	0.003	eV/atom
space-group type	No. 6
calculated volume	27.291	A^3/atom

```
Al2PbSe4
1.0
6.290 0.000 0.000
0.000 11.045 0.000
-3.121 0.000 5.500
Al Pb Se
4 2 8
direct
0.000 0.000 0.000
0.010 0.500 0.991
0.458 0.500 0.708
0.474 0.000 0.518
0.737 0.250 0.253
0.737 0.750 0.253
0.045 0.500 0.392
0.237 0.167 0.259
0.237 0.833 0.259
0.422 0.500 0.075
0.587 0.000 0.944
0.735 0.334 0.772
0.735 0.666 0.772
0.887 0.000 0.575
```

=====

[1]
A relaxed structure of Na3YNbSi2PO12, computed with PBE-GGA.

abc: 16.1173 27.8103 9.1859
angles: 90.00 125.12 90.00
With the nearest neighbours (Å) after each atom.
Fractional coordinates of all 240 atoms:
Na  0.2492  0.2563  0.0002  5 O 2.43-2.61
Na  0.2425  0.5879  0.0090  5 O 2.40-2.55
Na  0.2442  0.9196  0.0101  5 O 2.45-2.56
Na  0.7492  0.2437  0.5002  5 O 2.43-2.61
Na  0.7442  0.5804  0.5101  5 O 2.45-2.56
Na  0.7425  0.9121  0.5090  5 O 2.40-2.55
Na  0.7425  0.0879  0.0090  5 O 2.40-2.55
Na  0.7442  0.4196  0.0101  5 O 2.45-2.56
Na  0.7492  0.7563  0.0002  5 O 2.43-2.61
Na  0.2442  0.0804  0.5101  5 O 2.45-2.56
Na  0.2425  0.4121  0.5090  5 O 2.40-2.55
Na  0.2492  0.7437  0.5002  5 O 2.43-2.61
Na  0.4932  0.0298  0.7510  4 O 2.39-2.55
Na  0.4951  0.3635  0.7574  4 O 2.43-2.67
Na  0.4926  0.6962  0.7474  4 O 2.43-2.68
Na  0.4926  0.3038  0.2474  4 O 2.43-2.68
Na  0.4951  0.6365  0.2574  4 O 2.43-2.67
Na  0.4932  0.9702  0.2510  4 O 2.39-2.55
Na  0.9926  0.1962  0.7474  4 O 2.43-2.68
Na  0.9932  0.5298  0.7510  4 O 2.39-2.55
Na  0.9951  0.8635  0.7574  4 O 2.43-2.67
Na  0.9951  0.1365  0.2574  4 O 2.43-2.67
Na  0.9932  0.4702  0.2510  4 O 2.39-2.55
Na  0.9926  0.8038  0.2474  4 O 2.43-2.68
Na  0.8210  0.6425  0.1995  6 O 2.56-2.73
Na  0.8196  0.9761  0.2036  4 O 2.41-2.61
Na  0.1902  0.3055  0.2947  2 O 2.30-2.40
Na  0.1902  0.6945  0.7947  2 O 2.30-2.40
Na  0.8196  0.0239  0.7036  4 O 2.41-2.61
Na  0.8210  0.3575  0.6995  6 O 2.56-2.73
Na  0.3210  0.1425  0.1995  6 O 2.56-2.73
Na  0.3196  0.4761  0.2036  4 O 2.41-2.61
Na  0.6902  0.8055  0.2947  2 O 2.30-2.40
Na  0.6902  0.1945  0.7947  2 O 2.30-2.40
Na  0.3196  0.5239  0.7036  4 O 2.41-2.61
Na  0.3210  0.8575  0.6995  6 O 2.56-2.73
Y  0.8991  0.2515  0.9446  6 O 2.12-2.29
Y  0.8932  0.5841  0.9307  6 O 2.11-2.27
Y  0.8925  0.9153  0.9337  6 O 2.10-2.30
Y  0.8925  0.0847  0.4337  6 O 2.10-2.30
Y  0.8932  0.4159  0.4307  6 O 2.11-2.27
Y  0.8991  0.7485  0.4446  6 O 2.12-2.29
Y  0.3932  0.0841  0.9307  6 O 2.11-2.27
Y  0.3925  0.4153  0.9337  6 O 2.10-2.30
Y  0.3991  0.7515  0.9446  6 O 2.12-2.29
Y  0.3991  0.2485  0.4446  6 O 2.12-2.29
Y  0.3925  0.5847  0.4337  6 O 2.10-2.30
Y  0.3932  0.9159  0.4307  6 O 2.11-2.27
Nb  0.1060  0.2476  0.5640  6 O 1.95-2.18
Nb  0.1043  0.5821  0.5629  6 O 1.97-2.16
Nb  0.1052  0.9166  0.5632  6 O 1.97-2.15
Nb  0.1052  0.0834  0.0632  6 O 1.97-2.15
Nb  0.1043  0.4179  0.0629  6 O 1.97-2.16
+++

A--0 to 4 inches; light brownish gray (10YR 6/2) channery ashy sandy loam, dark grayish brown (10YR 4/2) moist; weak thin platy structure parting to weak fine granular; soft, very friable, slightly sticky and nonplastic; many very fine and fine roots; common fine tabular pores; 30 percent channers; 50 percent sand-sized (0.25 to 1.0 mm) pumice; neutral (pH 6.6); clear smooth boundary. (2 to 6 inches thick)

Bw1--4 to 8 inches; light brownish gray (10YR 6/2) channery ashy sandy loam, dark grayish brown (10YR 4/2) moist; weak medium subangular blocky structure; soft, very friable, slightly sticky and nonplastic; common very fine and fine roots; common fine tubular pores; 20 percent channers; 40 percent sand-sized (0.25 to 1.0 mm) pumice; neutral (pH 6.8); clear wavy boundary. (3 to 8 inches thick)

Bw2--8 to 14 inches; light brownish gray (10YR 6/2) channery ashy sandy loam, brown (10YR 4/3) moist; weak fine and medium subangular blocky structure; soft, friable, slightly sticky and nonplastic; few very fine and fine roots; few fine tubular pores; 10 percent sand-size (0.25 to 1.0 mm) pumice; 30 percent channers; neutral (pH 7.0); abrupt smooth boundary. (4 to 10 inches thick)

2R--14 inches; fractured tuff.

TYPE LOCATION: Crook County, Oregon; about 500 feet north and 100 feet east of jog in the Barnes Butte road in the SW1/4 NW1/4 SE1/4 section 22, T. 14 S., R. 16 E.

RANGE IN CHARACTERISTICS: Slayton soils are usually dry for 90 to 150 cumulative days. The mean annual soil temperature is 48 to 50 degrees F. Depth to bedrock ranges from 10 to 20 inches. The particle-size control section has less than 18 percent clay and more than 15 percent coarser than very fine sand. Channery fragments and pebbles in the soil range from 15 to 35 percent. Sand-size ash ranges from 5 to 30 percent. The solum has 5 to 30 percent glass, phosphate retention of 15 to 25 percent and acid oxalate iron plus one-half the acid oxalate aluminum of 0.4 to 0.8 percent.

The A horizon has value of 2 or 3 moist. It has weak thin platy and weak fine granular structure or is single grained.

[Someone pasted crystal structures at this point]
'''
Run i
The following is a PBE-GGA calculation of a relaxed H crystal, from Materials Project.

Density   0.2 Mg/m³
Crystal system   orthorhombic

```
data_H
_chemical_formula_sum 'H16'
_space_group_name_H-M_alt 'P n m a'
_space_group_IT_number 62
_cell_length_a 4.9551
_cell_length_b 5.4774
_cell_length_c 4.6973
_cell_angle_alpha 90.00
_cell_angle_beta 90.00
_cell_angle_gamma 90.00
loop_
_space_group_symop_operation_xyz
'x,y,z'
'-x,-y,-z'
'-x+1/2,-y,z+1/2'
'x+1/2,y,-z+1/2'
'x+1/2,-y+1/2,-z+1/2'
'-x+1/2,y+1/2,z+1/2'
'-x,y+1/2,-z'
'x,-y+1/2,z'
loop_
_atom_site_label
_atom_site_fract_x
_atom_site_fract_y
_atom_site_fract_z
_atom_site_occupancy
H1 0.0162 0.2500 0.0428 1
H2 0.0288 0.5435 0.4468 1
H3 0.1234 0.7500 0.0156 1
```

=====

Run ii
The following is a PBE-GGA calculation of a relaxed H crystal, from Materials Project.

Density   0.2 Mg/m³
Crystal system   orthorhombic

```
data_H
_chemical_formula_sum 'H4'
_space_group_name_H-M_alt 'C m m m'
_space_group_IT_number 65
_space_group_name_Hall '-C 2 2'
_cell_length_a 2.6244
_cell_length_b 4.5059
_cell_length_c 2.6090
_cell_angle_alpha 90.00
_cell_angle_beta 90.00
_cell_angle_gamma 90.00
loop_
_atom_site_label
_atom_site_fract_x
_atom_site_fract_y
_atom_site_fract_z
_atom_site_occupancy
H1 0.0000 0.0827 0.0000 1
```

=====

Of them, the most stable is run i and the least stable is run ii.

=====

Run i
The following is a PBE-GGA calculation of a relaxed KMgNbO3 crystal, from Materials Project.

Density   4.1 Mg/m³
Crystal system   orthorhombic

```
data_KMgNbO3
_chemical_formula_sum 'K2 Mg2 Nb2 O6'
_space_group_name_H-M_alt 'A m m 2'
_space_group_IT_number 38
_cell_length_a 4.3195
_cell_length_b 5.5670
_cell_length_c 6.9070
_cell_angle_alpha 90.00
_cell_angle_beta 90.00
_cell_angle_gamma 90.00
loop_
_space_group_symop_operation_xyz
'x,y,z'
'-x,-y,z'
'-x,y,z'
'x,-y,z'
'x,y+1/2,z+1/2'
'-x,-y+1/2,z+1/2'
'-x,y+1/2,z+1/2'
'x,-y+1/2,z+1/2'
loop_
_atom_site_label
_atom_site_fract_x
_atom_site_fract_y
_atom_site_fract_z
_atom_site_occupancy
K1 0.0000 0.0000 0.0000 1
Mg1 0.5000 0.0000 0.2303 1
Nb1 0.5000 0.0000 0.6604 1
O1 0.0000 0.0000 0.6482 1
O2 0.5000 0.2426 0.9194 1
```

=====

Run ii
The following is a PBE-GGA calculation of a relaxed KMgNbO3 crystal, from Materials Project.

Density   4.0 Mg/m³
Crystal system   monoclinic

```
data_KMgNbO3
_chemical_formula_sum 'K2 Mg2 Nb2 O6'
_space_group_name_H-M_alt 'C 1 m 1'
_space_group_IT_number 8
_cell_length_a 5.5162
_cell_length_b 5.5089
_cell_length_c 6.2681
_cell_angle_alpha 90.00
_cell_angle_beta 115.82
_cell_angle_gamma 90.00
loop_
_space_group_symop_operation_xyz
'x,y,z'
'x,-y,z'
'x+1/2,y+1/2,z'
'x+1/2,-y+1/2,z'
loop_
_atom_site_label
_atom_site_fract_x
_atom_site_fract_y
_atom_site_fract_z
_atom_site_occupancy
K1 0.0000 0.0000 0.0000 1
Mg1 0.3433 0.0000 0.6911 1
Nb1 0.2004 0.5000 0.4043 1
O1 0.0252 0.5000 0.0566 1
O2 0.0404 0.2498 0.5852 1
```

=====

Of them, the most stable is run ii and the least stable is run i.

=====

Run i
'''
[Here the entry continues]

The Bw horizon has value of 6 or 7 dry, 3 or 4 moist and chroma of 2 or 3 moist and dry. It has weak medium to coarse subangular blocky structure. It is channery or gravelly fine sandy loam or sandy loam with 15 to 35 percent rock fragments.

COMPETING SERIES: These are the Calzacorta, Starbuck and Trevino series. All of these soils lack the ashy soil properties. Calzacorta soils have 18 to 35 percent clay in the particle-size control section, lack channery fragments and are underlain by basalt. Starbuck soils are medium textured, lack channery fragments and formed in mixed loess, colluvium, and alluvium basalt origin and overlie basalt. Trevino soils are medium textured, are 8 to 18 inches deep to carbonates, lack channery fragments and are underlain by basalt.

GEOGRAPHIC SETTING: Slayton soils are on uplands with slopes of 1 to 40 percent at elevations of 2,500 to 3,500 feet. The soils formed in colluvium and residuum weathered from tuff or breccia mixed with volcanic ash. Mean annual precipitation is 8 to 12 inches. Summers are warm and dry with an average summer temperature of 61 to 63 degrees F. Winters are cool and moist with an average winter temperature of 32 to 34 degrees F. The mean annual temperature is 46 to 52 degrees F. The frost-free period is 50 to 100 days.

GEOGRAPHICALLY ASSOCIATED SOILS: These are the Prineville, Ochoco and Glasgow soils. Prineville soils are deep to a paralithic contact. Ochoco soils are moderately deep to a duripan. Glasgow soils are fine textured and moderately deep to a lithic contact.

DRAINAGE AND PERMEABILITY: Well drained; slow to rapid runoff; moderately rapid permeability.

USE AND VEGETATION: Principal use is for rangeland. Native vegetation is mainly bluebunch wheatgrass, sagebrush, juniper and rabbitbrush.

DISTRIBUTION AND EXTENT: Central Oregon. They are inextensive.


SERIES ESTABLISHED: Prineville Area, Crook County, Oregon, 1963.

REMARKS: Diagnostic horizons and other features:
Ochric epipedon
Cambic horizon - 4 to 14 inches
Lithic contact - 14 inches
Aridic moisture regime

National Cooperative Soil Survey